[Data]
<<<
Entry 1:
First-principles (PBE) data for a relaxed Nd8Ru3RhCl4 crystal, as listed in the Alexandria database.

```
data_Nd8Ru3RhCl4
_cell_length_a 14.0662
_cell_length_b 8.1239
_cell_length_c 8.9463
_cell_angle_alpha 90.00
_cell_angle_beta 121.65
_cell_angle_gamma 90.00
_space_group_name_H-M_alt 'C 1 2/m 1'
_space_group_IT_number 12
loop_
_space_group_symop_operation_xyz
'x,y,z'
'-x,-y,-z'
'-x,y,-z'
'x,-y,z'
'x+1/2,y+1/2,z'
'-x+1/2,-y+1/2,-z'
'-x+1/2,y+1/2,-z'
'x+1/2,-y+1/2,z'
loop_
_atom_site_label
_atom_site_type_symbol
_atom_site_fract_x
_atom_site_fract_y
_atom_site_fract_z
Nd1 Nd 0.0159 0.2464 0.2946
Nd2 Nd 0.2360 0.0000 0.7074
Nd3 Nd 0.2376 0.5000 0.7054
Ru1 Ru 0.0000 0.0000 0.5000
Ru2 Ru 0.2500 0.2500 0.5000
Rh1 Rh 0.0000 0.5000 0.5000
Cl1 Cl 0.0000 0.0000 0.0000
Cl2 Cl 0.0000 0.5000 0.0000
Cl3 Cl 0.2500 0.2500 0.0000
```

Properties
Raw formation energy (eV per formula unit): -15.06

=====

Entry 2:
First-principles (PBE) data for a relaxed Nd6Ru2RhCl3 crystal, as listed in the Alexandria database.

```
data_Nd6Ru2RhCl3
_cell_length_a 7.0264
_cell_length_b 12.1755
_cell_length_c 7.9812
_cell_angle_alpha 90.00
_cell_angle_beta 107.07
_cell_angle_gamma 90.00
_space_group_name_H-M_alt 'C 1 2/m 1'
_space_group_IT_number 12
loop_
_space_group_symop_operation_xyz
'x,y,z'
'-x,-y,-z'
'-x,y,-z'
'x,-y,z'
'x+1/2,y+1/2,z'
'-x+1/2,-y+1/2,-z'
'-x+1/2,y+1/2,-z'
'x+1/2,-y+1/2,z'
loop_
_atom_site_label
_atom_site_type_symbol
_atom_site_fract_x
_atom_site_fract_y
_atom_site_fract_z
Nd1 Nd 0.2303 0.0000 0.2064
Nd2 Nd 0.2377 0.3308 0.2060
Ru1 Ru 0.0000 0.1662 0.0000
Rh1 Rh 0.0000 0.5000 0.0000
Cl1 Cl 0.0000 0.0000 0.5000
Cl2 Cl 0.0000 0.3301 0.5000
```

Properties
Raw formation energy (eV per formula unit): -11.67

=====

Entry 3:
First-principles (PBE) data for a relaxed Nd4RhS2Cl crystal, as listed in the Alexandria database.

```
data_Nd4RhS2Cl
_cell_length_a 7.1727
_cell_length_b 4.0066
_cell_length_c 7.2568
_cell_angle_alpha 90.00
_cell_angle_beta 108.55
_cell_angle_gamma 90.00
_space_group_name_H-M_alt 'P 1 2/m 1'
_space_group_IT_number 10
loop_
_space_group_symop_operation_xyz
'x,y,z'
'-x,-y,-z'
'-x,y,-z'
'x,-y,z'
loop_
_atom_site_label
_atom_site_type_symbol
_atom_site_fract_x
_atom_site_fract_y
_atom_site_fract_z
Nd1 Nd 0.2351 0.0000 0.2342
Nd2 Nd 0.2366 0.5000 0.7480
Rh1 Rh 0.0000 0.0000 0.5000
S1 S 0.0000 0.5000 0.0000
S2 S 0.5000 0.0000 0.0000
Cl1 Cl 0.5000 0.5000 0.5000
```

Properties
Raw formation energy (eV per formula unit): -12.16

=====

Entry 4:
First-principles (PBE) data for a relaxed Nd4RhSe2Cl crystal, as listed in the Alexandria database.

```
data_Nd4RhSe2Cl
_cell_length_a 7.3116
_cell_length_b 4.0995
_cell_length_c 7.4348
_cell_angle_alpha 90.00
_cell_angle_beta 108.76
_cell_angle_gamma 90.00
_space_group_name_H-M_alt 'P 1 2/m 1'
_space_group_IT_number 10
loop_
_space_group_symop_operation_xyz
'x,y,z'
'-x,-y,-z'
'-x,y,-z'
'x,-y,z'
loop_
_atom_site_label
_atom_site_type_symbol
_atom_site_fract_x
_atom_site_fract_y
_atom_site_fract_z
Nd1 Nd 0.2283 0.0000 0.2326
Nd2 Nd 0.2395 0.5000 0.7484
Rh1 Rh 0.0000 0.5000 0.0000
Se1 Se 0.0000 0.0000 0.5000
Se2 Se 0.5000 0.5000 0.5000
Cl1 Cl 0.5000 0.0000 0.0000
```

Properties
Raw formation energy (eV per formula unit): -11.52

=====

Entry 5:
First-principles (PBE) data for a relaxed Nd6Si2RhCl3 crystal, as listed in the Alexandria database.

```
data_Nd6Si2RhCl3
_cell_length_a 18.4660
_cell_length_b 4.1654
_cell_length_c 8.6622
_cell_angle_alpha 90.00
_cell_angle_beta 103.05
_cell_angle_gamma 90.00
_space_group_name_H-M_alt 'C 1 2/m 1'
_space_group_IT_number 12
loop_
_space_group_symop_operation_xyz
'x,y,z'
'-x,-y,-z'
'-x,y,-z'
'x,-y,z'
'x+1/2,y+1/2,z'
'-x+1/2,-y+1/2,-z'
'-x+1/2,y+1/2,-z'
'x+1/2,-y+1/2,z'
loop_
_atom_site_label
_atom_site_type_symbol
_atom_site_fract_x
_atom_site_fract_y
_atom_site_fract_z
Nd1 Nd 0.0047 0.0000 0.2306
Nd2 Nd 0.1561 0.5000 0.1005
Nd3 Nd 0.1724 0.5000 0.5745
Si1 Si 0.1651 0.0000 0.3393
Rh1 Rh 0.0000 0.5000 0.0000
Cl1 Cl 0.0000 0.5000 0.5000
>>>

[Work order]
The reader should echo the part of the contents earlier on that starts with the line with "data_Nd8Ru3RhCl4" and stops after the one with "relaxed Nd6Si2RhCl3".

[Outcome]
data_Nd8Ru3RhCl4
_cell_length_a 14.0662
_cell_length_b 8.1239
_cell_length_c 8.9463
_cell_angle_alpha 90.00
_cell_angle_beta 121.65
_cell_angle_gamma 90.00
_space_group_name_H-M_alt 'C 1 2/m 1'
_space_group_IT_number 12
loop_
_space_group_symop_operation_xyz
'x,y,z'
'-x,-y,-z'
'-x,y,-z'
'x,-y,z'
'x+1/2,y+1/2,z'
'-x+1/2,-y+1/2,-z'
'-x+1/2,y+1/2,-z'
'x+1/2,-y+1/2,z'
loop_
_atom_site_label
_atom_site_type_symbol
_atom_site_fract_x
_atom_site_fract_y
_atom_site_fract_z
Nd1 Nd 0.0159 0.2464 0.2946
Nd2 Nd 0.2360 0.0000 0.7074
Nd3 Nd 0.2376 0.5000 0.7054
Ru1 Ru 0.0000 0.0000 0.5000
Ru2 Ru 0.2500 0.2500 0.5000
Rh1 Rh 0.0000 0.5000 0.5000
Cl1 Cl 0.0000 0.0000 0.0000
Cl2 Cl 0.0000 0.5000 0.0000
Cl3 Cl 0.2500 0.2500 0.0000
```

Properties
Raw formation energy (eV per formula unit): -15.06

=====

Entry 2:
First-principles (PBE) data for a relaxed Nd6Ru2RhCl3 crystal, as listed in the Alexandria database.

```
data_Nd6Ru2RhCl3
_cell_length_a 7.0264
_cell_length_b 12.1755
_cell_length_c 7.9812
_cell_angle_alpha 90.00
_cell_angle_beta 107.07
_cell_angle_gamma 90.00
_space_group_name_H-M_alt 'C 1 2/m 1'
_space_group_IT_number 12
loop_
_space_group_symop_operation_xyz
'x,y,z'
'-x,-y,-z'
'-x,y,-z'
'x,-y,z'
'x+1/2,y+1/2,z'
'-x+1/2,-y+1/2,-z'
'-x+1/2,y+1/2,-z'
'x+1/2,-y+1/2,z'
loop_
_atom_site_label
_atom_site_type_symbol
_atom_site_fract_x
_atom_site_fract_y
_atom_site_fract_z
Nd1 Nd 0.2303 0.0000 0.2064
Nd2 Nd 0.2377 0.3308 0.2060
Ru1 Ru 0.0000 0.1662 0.0000
Rh1 Rh 0.0000 0.5000 0.0000
Cl1 Cl 0.0000 0.0000 0.5000
Cl2 Cl 0.0000 0.3301 0.5000
```

Properties
Raw formation energy (eV per formula unit): -11.67

=====

Entry 3:
First-principles (PBE) data for a relaxed Nd4RhS2Cl crystal, as listed in the Alexandria database.

```
data_Nd4RhS2Cl
_cell_length_a 7.1727
_cell_length_b 4.0066
_cell_length_c 7.2568
_cell_angle_alpha 90.00
_cell_angle_beta 108.55
_cell_angle_gamma 90.00
_space_group_name_H-M_alt 'P 1 2/m 1'
_space_group_IT_number 10
loop_
_space_group_symop_operation_xyz
'x,y,z'
'-x,-y,-z'
'-x,y,-z'
'x,-y,z'
loop_
_atom_site_label
_atom_site_type_symbol
_atom_site_fract_x
_atom_site_fract_y
_atom_site_fract_z
Nd1 Nd 0.2351 0.0000 0.2342
Nd2 Nd 0.2366 0.5000 0.7480
Rh1 Rh 0.0000 0.0000 0.5000
S1 S 0.0000 0.5000 0.0000
S2 S 0.5000 0.0000 0.0000
Cl1 Cl 0.5000 0.5000 0.5000
```

Properties
Raw formation energy (eV per formula unit): -12.16

=====

Entry 4:
First-principles (PBE) data for a relaxed Nd4RhSe2Cl crystal, as listed in the Alexandria database.

```
data_Nd4RhSe2Cl
_cell_length_a 7.3116
_cell_length_b 4.0995
_cell_length_c 7.4348
_cell_angle_alpha 90.00
_cell_angle_beta 108.76
_cell_angle_gamma 90.00
_space_group_name_H-M_alt 'P 1 2/m 1'
_space_group_IT_number 10
loop_
_space_group_symop_operation_xyz
'x,y,z'
'-x,-y,-z'
'-x,y,-z'
'x,-y,z'
loop_
_atom_site_label
_atom_site_type_symbol
_atom_site_fract_x
_atom_site_fract_y
_atom_site_fract_z
Nd1 Nd 0.2283 0.0000 0.2326
Nd2 Nd 0.2395 0.5000 0.7484
Rh1 Rh 0.0000 0.5000 0.0000
Se1 Se 0.0000 0.0000 0.5000
Se2 Se 0.5000 0.5000 0.5000
Cl1 Cl 0.5000 0.0000 0.0000
```

Properties
Raw formation energy (eV per formula unit): -11.52

=====

Entry 5:
First-principles (PBE) data for a relaxed Nd6Si2RhCl3 crystal, as listed in the Alexandria database.